Do I need a tent

Neil Holtzhausen

New Member
Apr 27, 2016
I'm planning a 4 to 5 day backcountry hike in Mt Zion Nat Park and a 3 day trip in Bryce Canyon during the first two weeks of August. Do other hikers take tents in with them or is it possible to just sleep under the stars? Rainfall for August averages 1.7 inches. Does anybody have experience hiking those parks during August.

Depends on how confident the forecast is when you are hitting the trail. July and August are the two wettest months of the year on the Colorado Plateau due to the monsoon pattern. The nature of said monsoonal storms is notoriously unpredictable. You're probably going to want a tent.
Depends on how confident the forecast is when you are hitting the trail. July and August are the two wettest months of the year on the Colorado Plateau due to the monsoon pattern. The nature of said monsoonal storms is notoriously unpredictable. You're probably going to want a tent.

Neil, I echo Nick's post as it pretty much says it all so well. Monsoons are notoriously hard to forecast too. We have done a lot in that area during your time period and there are times when it is storming all around us but we don't get hit, but if you do it can be a drenching rain. I'd take at least a tarp to get under but a tent will help keep out the creepy crawlies too and they come out at night even in the most barren places. If nothing else a tarp can be set up for shade in areas where there is none. Hyperthermia can be a factor in August if you are prone. Nothing like a good tarp.
Thanks for the input guys. We will go with a tent. We have hiked on the east coast and Glacier where a tent or a tarp is a must, but was kind of hoping to sleep under the stars this time :)
Thanks for the input guys. We will go with a tent. We have hiked on the east coast and Glacier where a tent or a tarp is a must, but was kind of hoping to sleep under the stars this time :)

**Misplaced quantum chemistry results**
<<<
(1)
C52H28Cl4F8N5Zr as an isolated structure, computed with ωB97M-V/def2-TZVPD.

Summary:
- energy above the lowest of the compared OMol25 structures with the same formula, charge and spin (kcal/mol) = 38.07
- multiplicity = 1
- HOMO energy (eV) = -9.92
- net charge = +1
- lowest unoccupied orbital energy (hartree) = -0.167
- F_max (eV/A) = 0.81

Each line ends with the Mulliken charge.
Positions of all 98 atoms, in Å:
1 Zr -0.015 0.120 -0.287  1.112
2 Cl -5.379 3.579 -6.558  -0.191
3 C -4.359 2.572 -5.597  0.381
4 C -2.988 2.591 -5.791  -1.432
5 C -2.176 1.785 -5.016  0.132
6 C -2.702 0.905 -4.057  0.793
7 C -4.084 0.992 -3.823  -0.697
8 C -4.907 1.794 -4.590  -1.235
9 C -1.823 0.092 -3.189  1.155
10 C -0.430 0.051 -3.381  0.044
11 C 0.257 0.068 -4.644  -1.715
12 C 1.579 -0.061 -4.390  -1.304
13 C 1.736 -0.112 -2.967  0.628
14 C 2.951 -0.023 -2.299  1.102
15 C 4.185 0.190 -3.104  -0.397
16 C 4.360 1.373 -3.818  0.005
17 C 5.511 1.587 -4.559  -1.038
18 C 6.490 0.605 -4.588  0.337
19 Cl 7.929 0.865 -5.514  -0.192
20 C 6.335 -0.579 -3.885  -0.992
21 C 5.182 -0.780 -3.142  0.040
22 C 3.082 -0.060 -0.907  0.441
23 N 2.068 -0.346 -0.028  -0.211
24 C 2.616 -0.277 1.246  0.228
25 C 1.970 -0.697 2.406  1.789
26 C 2.694 -0.612 3.703  -0.825
27 C 3.858 -1.345 3.924  -0.120
28 C 4.519 -1.272 5.140  -1.034
29 C 4.012 -0.456 6.140  0.322
30 Cl 4.835 -0.357 7.658  -0.193
31 C 2.852 0.278 5.944  -1.083
32 C 2.197 0.191 4.727  0.129
33 C 0.704 -1.293 2.410  0.824
34 C 0.149 -2.021 3.505  -1.826
35 C -1.019 -2.567 3.073  -1.718
36 C -1.199 -2.158 1.717  0.437
37 N -0.144 -1.370 1.322  -0.048
38 C -2.297 -2.495 0.918  1.663
39 C -2.513 -1.987 -0.353  -0.280
40 C -3.594 -2.347 -1.211  -1.253
41 C -3.523 -1.553 -2.309  -1.964
42 C -2.369 -0.717 -2.158  0.258
43 N -1.747 -1.008 -0.972  0.647
44 C -3.299 -3.446 1.473  -0.361
45 C -4.594 -3.017 1.754  0.090
46 C -5.532 -3.892 2.277  -1.062
47 C -5.169 -5.210 2.512  0.356
48 Cl -6.336 -6.310 3.160  -0.192
49 C -3.888 -5.659 2.234  -1.019
50 C -2.956 -4.772 1.718  0.083
51 C 3.983 0.134 1.143  -1.318
52 C 4.278 0.237 -0.179  -1.474
53 N 0.489 -0.137 -2.375  0.532
54 H -2.556 3.259 -6.523  0.432
55 H -1.113 1.903 -5.136  0.556
56 H -4.539 0.469 -2.998  0.506
57 H -5.969 1.839 -4.390  0.438
58 H -0.216 0.077 -5.611  0.901
59 H 2.382 -0.133 -5.104  0.709
60 H 3.592 2.137 -3.787  0.575
61 H 5.653 2.507 -5.109  0.423
62 H 7.108 -1.334 -3.924  0.423
63 H 5.054 -1.707 -2.595  0.495
64 H 4.243 -1.989 3.144  0.569
65 H 5.417 -1.846 5.318  0.427
66 H 2.472 0.907 6.737  0.463
67 H 1.286 0.757 4.568  0.515
68 H 0.612 -2.134 4.472  0.594
69 H -1.695 -3.201 3.623  0.615
70 H -4.301 -3.135 -1.013  0.647
71 H -4.139 -1.605 -3.190  0.848
72 H -4.872 -1.987 1.562  0.481
73 H -6.536 -3.561 2.502  0.422
74 H -3.627 -6.692 2.417  0.428
75 H -1.953 -5.118 1.497  0.515
76 H 4.644 0.301 1.977  0.721
77 H 5.223 0.503 -0.623  0.588
78 F -1.283 1.844 -0.904  -0.378
79 C -0.356 3.053 -0.652  -0.819
80 F 0.872 2.203 -0.620  -0.305
>>>
**End of the quantum chemistry results**

I still sleep under the stars most of the time, I just make sure to have the option if I need it. A lot of times I'll bring both a tarp and tent to the trailhead and leave one or the other behind depending on the forecast at the last minute.
One of the rainiest nights I ever spent camping was at Bryce in August a few years back. Definitely take a tent and if it turns out you don't need it, that's a bonus. Better safe than sorry!
There are times in summer when the juniper gnats are biting and very obnoxious. I'm not sure if you will encounter them in August but that is when a screened in tent will save you. They tend to bite my girlfriend a lot more than me but with them flying in your ears, eyes and nose, it is distracting to the point of driving you crazy at times. But many times there is not a hatch and all is well...

I think they are more prolific in late May and June but not always and I have encountered them in northern AZ in August and they were real bad...
There are times in summer when the juniper gnats are biting and very obnoxious. I'm not sure if you will encounter them in August but that is when a screened in tent will save you. They tend to bite my girlfriend a lot more than me but with them flying in your ears, eyes and nose, it is distracting to the point of driving you crazy at times. But many times there is not a hatch and all is well...

Records of molecules from another source follow:
'''
Entry 1:
Below is a cluster of 4 separate species, C30H56FN2O11S in total in a non-equilibrium geometry, with properties calculated with ωB97M-V/def2-TZVPD.

CARTESIAN COORDINATES (ANGSTROEM)
C 3.89 -5.77 0.97
C 3.29 -4.37 0.71
C 2.45 -4.45 -0.55
N 1.72 -3.28 -1.01
C 1.48 -2.09 -0.24
C 0.71 -2.39 1.08
C -0.29 -3.53 1.02
O 0.23 -4.69 1.67
C 0.49 -1.28 -1.13
C 0.38 0.24 -0.90
C 0.08 0.86 -2.28
C -0.80 0.69 0.01
C -2.17 0.17 -0.39
O -2.44 -1.03 0.33
C -3.82 -1.31 0.33
C -4.16 -2.49 1.22
C 1.66 0.94 -0.45
N 2.54 0.14 0.46
C 2.10 0.31 1.88
C 3.15 -0.17 2.88
C 3.11 0.67 4.14
F 2.98 -1.49 3.18
C 2.78 -1.25 0.00
C 3.62 -1.27 -1.28
C 4.72 -0.20 -1.40
C 5.74 -0.11 -0.25
S 6.38 -1.69 0.37
H 4.74 -5.94 0.33
H 3.11 -6.50 0.77
H 4.13 -5.89 2.02
H 4.14 -3.71 0.61
H 2.73 -4.12 1.60
H 3.12 -4.79 -1.34
H 1.77 -5.29 -0.42
H 1.68 -3.17 -2.01
H 1.36 -2.49 1.95
H 0.09 -1.52 1.28
H -1.18 -3.21 1.55
H -0.58 -3.73 0.00
H 0.05 -5.46 1.11
H 0.74 -1.42 -2.17
H -0.48 -1.74 -1.01
H -0.71 0.32 -2.79
H -0.13 1.93 -2.21
H 0.96 0.74 -2.90
H -0.83 1.77 -0.10
H -0.66 0.44 1.06
H -2.90 0.90 -0.06
H -2.26 -0.07 -1.45
H -4.39 -0.44 0.69
H -4.17 -1.53 -0.68
H -4.58 -2.15 2.16
H -4.89 -3.15 0.75
H -3.28 -3.07 1.44
H 2.25 1.14 -1.34
H 1.39 1.91 -0.05
H 3.44 0.63 0.45
H 2.04 1.38 2.04
H 1.12 -0.08 2.09
H 4.13 -0.03 2.40
H 3.21 1.71 3.84
H 3.93 0.43 4.80
H 2.16 0.52 4.64
H 3.41 -1.72 0.74
H 4.12 -2.23 -1.30
H 3.01 -1.22 -2.17
H 4.27 0.78 -1.55
H 5.27 -0.41 -2.31
H 6.61 0.40 -0.64
H 5.41 0.51 0.57
H 5.55 -1.95 1.39
C 2.85 5.59 1.52
C 1.64 6.49 1.46
O 0.91 5.95 0.34
C 1.28 4.67 0.18
O 0.74 3.90 -0.55
O 2.34 4.36 0.97
H 3.21 5.43 2.53
H 3.67 5.94 0.89
H 1.01 6.42 2.35
H 1.89 7.53 1.29
C -3.23 3.98 -1.65
C -3.95 5.30 -1.85
O -5.30 4.96 -1.55
C -5.30 3.86 -0.75
O -6.24 3.42 -0.19
O -4.05 3.33 -0.68
H -2.21 4.09 -1.29
H -3.22 3.38 -2.56
H -3.61 6.07 -1.14
H -3.87 5.69 -2.86
C -7.37 0.38 -1.23
C -8.68 0.27 -1.99
O -8.24 -0.15 -3.28
C -7.04 -0.77 -3.14
O -6.48 -1.38 -4.00
O -6.55 -0.59 -1.89
H -7.47 0.14 -0.17
H -6.91 1.36 -1.33
H -9.34 -0.49 -1.57
H -9.21 1.22 -2.06

As for the spin multiplicity: 1. For the HOMO-LUMO gap, the calculation gives 8.61 eV. The net charge is +1.

---

Entry 2:
Below is a cluster of 3 separate species, C30H56FN7O6P2S in total in a non-equilibrium geometry, with properties calculated with ωB97M-V/def2-TZVPD.

CARTESIAN COORDINATES (ANGSTROEM)
C 2.38 0.23 2.91
C 1.21 1.09 2.24
C 0.85 2.40 2.73
C 1.58 3.13 3.94
C 1.41 2.76 5.43
C 2.25 3.56 6.49
C 3.20 4.73 6.09
C 3.36 5.12 4.57
C 2.54 4.31 3.53
C -0.37 3.09 1.92
O -1.30 3.69 2.51
C -0.29 2.87 0.30
S -0.66 4.32 -0.77
O -1.65 4.07 -1.86
O 0.67 4.83 -1.29
F -1.34 5.53 0.21
C 0.09 1.58 -0.18
C 0.22 1.28 -1.74
C 1.70 1.79 -2.19
C 2.61 0.64 -2.85
C 2.69 -0.72 -2.01
C 3.65 -0.64 -0.72
N 3.33 -1.88 0.11
C 0.42 0.49 0.97
O 0.09 -0.72 0.90
H 3.32 0.87 2.94
H 2.60 -0.63 2.17
H 2.09 -0.24 3.91
H 0.72 1.92 5.76
H 2.20 3.34 7.62
H 3.85 5.33 6.82
H 4.06 5.94 4.21
H 2.67 4.57 2.41
H -0.56 1.87 -2.34
H 0.05 0.17 -2.01
H 2.27 2.20 -1.26
'''

I think they are more prolific in late May and June but not always and I have encountered them in northern AZ in August and they were real bad...

Ah yeah, those things are awful. I had them one night in September in the Swell. They drove me INSANE. If there were any time of year I do err toward a tent, it's summer. Except for out on the boat in Glen Canyon. No bug issues out there for some reason.